Monday, April 4, 2016

Content Outline

This is a rough draft of how I will be organizing my project 3 video.

  • An opening section
    • My video will have a stinger-like opening where I introduce myself and a little mystery on the topic I will be discussing (something along the lines of working birth control into the subject but not giving it away so my viewers will want to keep watching).
  • At least 3 main body sections
    • My first body section will be the background on Vasalgel and also background on other more traditional types of birth control. I want the feeling of this segment of my video to answer: What is this birth control? Why was it created (What was it created to solve)?
      • Evidence: Vasalgel is a men's birth control that will be released into the market in about two years. It is currently making headlines for its update being tested on rabbits, and having being done so correctly. It is an injection of (polymer? phospholipid?) into the vas deference where the sperm flows, and creates a semi-permeable blockade. It was created actually just as a social experiment and now it has developed into quite a promising product that could mean a lot for the advancement of science and society (gender-equal birth control).
      • What This Evidence Proves: That, in fact, this product was not created necessarily to 'solve' any issue. (Something Ill have to respond to here is "well, why fix what isn't broken? that is a little off topic for now but I will answer with essentially the industry is not broken but could be greatly improved).
      • Important because: I am giving necessary background knowledge and answering basic questions the viewers will inevitably have.
    • My second body section will be all about the reactions to Vasalgel. I want this section to expand on the reactions to Vasalgel and answer the questions: Why is this a good idea? Why is this a bad idea?
      • Evidence: This is a good idea because we are expanding the options for both men and women with the creation of this drug. It will be much cheaper and less invasive in the long run. This is a bad idea because it is not yet proven to be completely reversible (long-term fertility could be affected).
      • What the Evidence Proves: With this I will show, as unbiased as I can be in this section, the straight pros and cons of the drug, in addition to some personal reactions of real people's opinion on Vasalgel. I will be unbiased, but, statistically, there are many more pros.
      • Important because: This will give viewers insight into what the general public thinks about the product.
    • My third body section will be focused on what the introduction of Vasalgel will mean for the future and summing up my personal opinion on what I talked about in my second body paragraph. After I have taken a firm stance I will argue and persuade my audience to side with me.
      • Evidence: This last paragraph will start with the logistics of the birth control coming onto the market, and why that is so important. I will then discuss the role big pharmaceutical companies play when it comes to birth control like this. Having said that, I will be able to easily convert my audience to my opinion about Vasalgel.
      • What the Evidence Proves: In this paragraph, I want to prove that my belief is the only correct one.
      • Important because: This will give the viewers a specific argument to follow and direction of research to continue in.
  • A closing section
    • My closing section will be a wrap up and summary of the vast birth control options that are available and the ever expanding options for men. In my sign off I want to leave my viewer with the feeling that they have gotten enough information about Vasalgel but still intriguing them to research more on which birth control is right for them, so I'll leave some open ended questions and include links to other informational sources (videos, quizzes, ect.). Here I will explain the larger significance of this video as having the purpose of encouraging people to take birth control seriously and find out what is right for them, and also how great of an impact this will have on the scientific community, and also also the positive effect this will have for the equality of men and women in the child-bearing process (that was a weird way of putting that, but there ya go, haha).

1 comment:

  1. Hey Kathryn!

    I think you have done a good job on your outline in the sense that you know exactly how you want to structure it in order for it have the greatest effect on your intended audience. However, as someone reading the outline I wish you would have included more specific details regarding your opinions and what makes this a good drug. I believe you did actually mention a potential con with long-term fertility concern and a pro being price effectiveness, but you might need a little more to convince your audience, or at least go a little more into depth. (I'm a crazy detailed outline person though, so take what I say with a grain of salt!).

    You might even try to delve into people's thoughts on having a medical birth control for men. I feel as though birth control is more highly publicized for women, an it would be interesting to perhaps see if there negativity towards this due to birth control commonly being a thing for women. (This could be a potential "con")

    I feel as though you satisfy the rhetorical elements pretty well.

Attached: calculated molecules.
Entry from OMol25: a 7-piece molecular cluster, C36H79IN4O12P overall in a non-equilibrium geometry (ωB97M-V with the def2-TZVPD basis set).

Calculated values
Lowest unoccupied orbital energy, Ha: -0.158
Total charge: +1
HOMO energy, eV: -11.114
F_max, eV Å⁻¹: 8.91
Gap between HOMO and LUMO, hartree: 0.250

Each line ends with the Löwdin charge.
Element x y z (Å)
1 C 3.9035 -1.0182 1.2596  -0.13
2 O 2.6210 -1.5952 0.7950  -0.27
3 C 2.7562 -2.2134 -0.5396  -0.22
4 C 1.4135 -2.1088 -1.4807  -0.18
5 C 0.2956 -3.2803 -1.2231  -0.20
6 C -0.6366 -3.0634 0.1151  -0.17
7 C -1.3497 -1.5943 -0.0276  -0.22
8 C -2.8231 -1.4617 0.6773  -0.18
9 C -3.5383 -0.1183 0.0692  -0.17
10 C -2.5060 1.1571 -0.1717  0.00
11 C -2.3133 1.7163 -1.7368  -0.07
12 C -3.0248 1.0620 -3.0607  -0.11
13 C -4.3403 2.0237 -3.4398  -0.30
14 O -4.4829 3.2913 -3.0431  -0.06
15 N -5.4240 1.3140 -4.2685  -0.21
16 C -6.2888 0.6220 -3.2084  -0.11
17 C -6.3369 2.3109 -4.9507  -0.12
18 C -1.3173 3.0441 -1.9472  -0.37
19 I -1.1673 3.7704 -4.0542  0.94
20 N -0.5596 3.7095 -0.7785  -0.08
21 C 0.3320 4.9097 -0.9977  -0.18
22 C 1.9563 4.5147 -0.9488  -0.14
23 C 2.7030 4.8129 -2.4118  -0.13
24 C 3.4733 3.4101 -2.8814  -0.19
25 O 4.4672 3.0217 -1.8669  -0.14
26 C 5.2711 1.8639 -2.2987  -0.11
27 O 4.7439 0.8106 -2.9699  -0.07
28 C -0.6630 3.1854 0.6746  0.01
29 C 0.1815 3.8276 1.9391  -0.14
30 C 1.3182 2.8048 2.5730  -0.24
31 N 2.4715 2.5053 1.6324  -0.03
32 C -1.6593 1.8975 1.0714  -0.08
33 P -1.8956 1.1454 2.7996  0.74
34 N -1.4710 2.0647 4.0600  -0.19
35 O -0.8103 -0.2611 2.8742  -0.24
36 O -3.5749 0.6931 3.1730  -0.23
37 H 4.1010 -1.2123 2.4138  0.10
38 H 4.8368 -1.4996 0.7019  0.10
39 H 3.9542 0.1493 1.0625  0.09
40 H 3.1687 -3.3267 -0.5087  0.14
41 H 3.6020 -1.5875 -1.1035  0.12
42 H 1.0045 -1.0128 -1.4114  0.10
43 H 1.7906 -2.2531 -2.6041  0.12
44 H 0.8368 -4.3215 -1.2736  0.12
45 H -0.4407 -3.2481 -2.1611  0.10
46 H -0.0124 -3.1638 1.1193  0.13
47 H -1.4615 -3.8941 0.1395  0.11
48 H -1.5260 -1.4240 -1.1961  0.12
49 H -0.5642 -0.7903 0.2973  0.09
50 H -2.8310 -1.5493 1.8438  0.10
51 H -3.4645 -2.3866 0.2793  0.14
52 H -4.4117 0.3201 0.7563  0.13
53 H -4.0993 -0.4647 -0.9084  0.10
54 H -3.4691 -0.0123 -2.9182  0.10
55 H -2.2913 0.9500 -3.9977  0.11
56 H -7.4317 0.7773 -3.4126  0.11
57 H -6.0347 1.1551 -2.1731  0.11
58 H -5.9615 -0.5027 -3.0944  0.10
59 H -6.9210 2.8882 -4.1164  0.10
60 H -7.1520 1.6653 -5.5334  0.12
61 H -5.7431 2.9931 -5.6980  0.11
62 H 0.0424 5.6894 -0.1394  0.14
63 H 0.1842 5.4940 -1.9929  0.09
64 H 1.9667 3.3264 -0.8484  0.10
65 H 2.5280 5.0358 -0.0707  0.12
66 H 1.9522 5.1263 -3.2558  0.10
67 H 3.5228 5.6471 -2.3475  0.10
68 H 3.9297 3.4873 -3.9575  0.14
69 H 2.6685 2.5367 -2.9234  0.13
70 H 6.4287 1.7604 -2.0330  0.18
71 H 0.7682 4.8113 1.7054  0.10
72 H -0.6447 4.1584 2.7353  0.13
73 H 1.8013 3.3386 3.5252  0.14
74 H 0.9019 1.7801 2.9416  0.08
75 H 2.1797 1.9304 0.8121  0.06
76 H 3.0057 3.3599 1.3628  0.07
77 H -2.2881 2.1814 4.6978  0.01

    Overall great job and good luck on the project!
